science to amaze you

Amusement Park Physics
Explores how the laws of physics play a role in the design of amusement park rides. Design a roller coaster, determine the outcome of bumper car collisions, and more.

Ask Dr. Universe
How do chameleons change color? When was the light bulb invented? Why can't cats and dogs be friends? Want to know the answers to these and hundreds of other questions? Then just ask Dr. Universe, the world's most curious cat!

+++
Entry 1:
Entry from the OMol25 dataset: a 2-piece molecular cluster, C14H24ClO6P overall in a non-equilibrium geometry (the ωB97M-V functional and the def2-TZVPD basis).

Geometry as XYZ:
```
46
Properties=species:S:1:pos:R:3:forces:R:3:mulliken_charge:R:1
C -1.191357 0.276157 2.962328 -0.216 -0.111 0.206 -0.79
C -2.379855 0.518981 2.360649 0.222 -0.219 0.435 -1.02
C -2.982233 -0.313865 1.291189 -1.441 0.113 0.688 1.34
P -2.177088 0.093264 -0.387667 0.389 -0.989 -0.897 0.47
C -3.227263 1.367239 -1.198148 0.015 0.225 0.723 -1.27
C -0.570246 0.927856 -0.131165 -0.322 0.487 0.231 -1.34
O -4.380532 0.101410 1.078215 0.208 -0.146 -0.344 -0.43
C -4.957114 -0.921955 0.385759 -0.001 -0.156 0.207 0.51
O -5.752801 -0.809434 -0.485188 -0.370 0.084 0.151 -0.52
O -4.467612 -2.102119 0.839585 0.693 0.142 -0.933 -0.38
C -3.284602 -1.794889 1.591811 0.010 -0.003 1.830 -0.06
C -2.218510 -2.870814 1.678114 0.195 0.125 -0.608 -0.71
C -1.313628 -3.181470 0.476272 -0.202 -0.440 -0.013 -0.78
C -2.006664 -3.287137 -0.878432 0.185 0.103 -0.237 -0.23
Cl -0.828016 -2.918429 -2.189070 -0.013 -0.124 0.001 -0.22
H -0.974625 -0.649752 3.487250 0.622 -0.663 -1.393 0.29
H -0.406223 1.026163 2.984641 -0.597 0.613 1.382 0.29
H -2.964009 1.390864 2.652346 0.660 0.934 -1.388 0.38
H -2.565875 2.068028 -1.705592 -0.015 -0.090 -0.175 0.46
H -3.843526 1.929202 -0.498669 -0.008 0.035 -0.015 0.33
H -3.878207 0.855615 -1.900803 -0.020 0.109 -0.093 0.30
H 0.202447 0.212778 0.137258 0.021 0.019 0.070 0.30
H -0.312809 1.376890 -1.092050 0.052 -0.212 -0.097 0.47
H -0.617073 1.746702 0.587380 0.131 -0.073 0.104 0.42
H -3.649873 -1.739207 2.627198 0.022 0.038 0.012 0.34
H -2.690935 -3.780744 2.051092 -0.155 0.017 -0.108 0.42
H -1.570884 -2.522728 2.484437 0.016 -0.130 0.059 0.25
H -0.479338 -2.483593 0.420622 -0.161 0.217 -0.061 0.28
H -0.866863 -4.160489 0.666868 0.210 0.101 0.072 0.43
H -2.360931 -4.291852 -1.090887 -0.101 -0.005 0.120 0.44
H -2.814383 -2.578387 -1.014974 0.001 0.008 0.065 0.05
C 5.654104 0.797987 -3.182961 0.068 -0.040 0.216 -1.09
C 4.355654 1.545773 -2.975400 0.065 0.012 -0.341 -0.22
O 3.843358 1.364982 -1.644160 -0.055 0.034 0.016 -0.31
C 4.423466 2.107310 -0.703500 -0.003 -0.077 -0.027 0.75
O 5.301521 2.913005 -0.869987 0.004 0.018 0.008 -0.56
O 3.859713 1.802464 0.467017 -0.024 0.008 0.036 -0.29
C 4.428794 2.479631 1.591002 -0.045 0.029 0.130 -0.65
H 5.531260 -0.254354 -2.924641 -0.036 -0.016 -0.085 0.29
H 5.967402 0.871312 -4.224263 -0.023 -0.002 -0.011 0.36
H 6.443521 1.208457 -2.554686 -0.003 0.058 -0.037 0.31
H 3.580387 1.154510 -3.631345 -0.075 -0.045 0.118 0.30
H 4.467956 2.608847 -3.186053 0.042 0.020 0.125 0.32
H 4.453108 3.554414 1.426468 0.054 -0.006 -0.047 0.31
H 5.434072 2.109571 1.785638 0.032 0.058 -0.048 0.29
H 3.786311 2.251806 2.436500 -0.033 -0.057 -0.043 0.20
```
Forces are in eV/Å.

Results
spin multiplicity	1
max |F|	1.83	eV Å⁻¹
structure (SMILES)	C=C[C@]1(P(C)C)OC(=O)O[C@H]1CCCCl.CCOC(=O)OC
+++

Beyond 2000
What will the next thousand years hold in store for us? See what futurists are predicting and give predictions of your own.

Brainpop is a really cool and unique site full of animated health and science movies, and fun quizzes.

Bill Nye the Science Guy
Learn about Bill Nye the Science Guy and his show, choose from 40 'Home Demos' you can try, watch video clips, and more.

Color Matters
Budding artists and anyone interested in color will want to see how color affects our mind and body, its use in design and art, plus lots more. Explains additive and subtractive color systems, how the eye sees colors, and how other cultures view and use colors.

Cool Science for Curious Kids
Includes five interactive activities for kids. From the Howard Hughes Medical Institute.

• Molecular data, as found in the file:
____________
No. 1
# C40H39Cl5N3OPSV

C40H39Cl5N3OPSV as an isolated structure (ωB97M-V with the def2-TZVPD basis set, the OMol25 dataset).

Geometry (Å):
V  -1.40  -0.04  -0.39
C  -0.10  -0.75  4.83
C  -1.32  -1.61  4.52
N  -1.14  -2.54  3.40
C  -0.68  -3.91  3.72
C  0.80  -4.12  3.43
C  -1.35  -2.22  2.13
S  -1.80  -0.54  1.81
N  -1.35  -3.22  1.25
C  -1.34  -3.06  -0.05
O  -1.14  -1.95  -0.64
C  -1.53  -4.25  -0.90
C  -1.79  -5.49  -0.32
C  -1.98  -6.60  -1.13
C  -1.91  -6.47  -2.51
C  -1.65  -5.23  -3.09
C  -1.46  -4.12  -2.28
H  -0.31  -0.10  5.68
H  0.15  -0.12  3.98
H  0.77  -1.37  5.08
H  -2.19  -0.98  4.33
H  -1.57  -2.23  5.38
H  -1.28  -4.60  3.13
H  -0.90  -4.07  4.77
H  1.01  -3.96  2.38
H  1.07  -5.14  3.69
H  1.42  -3.44  4.02
H  -1.84  -5.58  0.75
H  -2.18  -7.56  -0.69
H  -2.06  -7.34  -3.14
H  -1.60  -5.13  -4.16
H  -1.25  -3.16  -2.72
Cl  -0.79  0.61  -3.36
C  0.68  0.38  -2.48
C  0.54  0.01  -1.15
C  1.71  -0.32  -0.48
Cl  1.61  -0.97  1.12
C  2.97  -0.16  -1.06
Cl  4.39  -0.49  -0.16
C  3.06  0.28  -2.38
Cl  4.60  0.50  -3.11
C  1.90  0.53  -3.11
Cl  1.99  1.02  -4.75
C  -4.88  1.68  -1.38
C  -3.75  1.02  -2.15
C  -4.25  0.54  -3.52
C  -3.16  -0.15  -1.37
H  -5.29  2.53  -1.93
H  -4.54  2.05  -0.41
H  -5.70  0.98  -1.20
H  -2.98  1.77  -2.32
H  -5.07  -0.18  -3.40
H  -3.46  0.06  -4.09
H  -4.63  1.38  -4.11
H  -3.06  -1.06  -1.96
H  -3.76  -0.40  -0.48
N  -1.46  1.59  0.00
P  -1.28  3.11  0.55
C  0.15  3.19  1.64
C  1.31  2.54  1.25
C  2.43  2.58  2.06
C  2.39  3.26  3.27
C  1.22  3.91  3.66
C  0.10  3.88  2.85
C  -1.08  4.16  -0.89
C  0.17  4.56  -1.33
C  0.29  5.25  -2.53
C  -0.84  5.55  -3.27
C  -2.10  5.17  -2.81
C  -2.22  4.48  -1.62
C  -2.72  3.65  1.46
C  -2.99  5.01  1.56
C  -4.06  5.44  2.33
C  -4.85  4.52  3.00
C  -4.58  3.16  2.90
C  -3.51  2.72  2.13
H  1.34  2.01  0.31
H  3.33  2.06  1.76
H  3.26  3.29  3.91
H  1.19  4.45  4.60
H  -0.81  4.38  3.16
H  1.06  4.34  -0.75
H  1.27  5.56  -2.87
H  -0.75  6.09  -4.20
H  -2.98  5.42  -3.39
H  -3.21  4.19  -1.26
H  -2.39  5.73  1.02
H  -4.27  6.50  2.41
H  -5.68  4.85  3.60
H  -5.20  2.44  3.41
H  -3.30  1.66  2.04

Charge: +1
Kohn-Sham gap in eV: 8.203
Energy relative to the best compared isomer or geometry (same formula, charge and spin) in kcal/mol: 1.55

***

No. 2
# C5H8O3

One molecule with the formula C5H8O3 in a non-equilibrium geometry (ωB97M-V with the def2-TZVPD basis set, the OMol25 dataset).

Geometry (Å):
C  -1.64  -0.06  0.49
C  -0.41  -0.73  0.51
C  0.58  -0.80  -0.81
C  1.70  0.97  0.56
C  -0.48  0.72  0.16
H  -2.18  -0.71  -1.34
H  -2.31  0.18  1.51
H  0.20  -1.19  1.45
H  0.93  -1.97  -0.98
H  -0.01  -0.51  -1.89
H  1.84  0.28  1.53
H  2.60  1.49  0.23
H  -0.47  0.86  -0.87
O  -2.62  -0.29  -0.43
O  1.75  0.11  -0.64
O  0.51  1.63  0.54

Charge: 0
Kohn-Sham gap in eV: 9.568
Energy relative to the best compared isomer or geometry (same formula, charge and spin) in kcal/mol: 177.75
SMILES: O[C@H]1[C@H]2COCO[C@H]12

***

No. 3
# C52H52N12O24
____________

Dr. Bob's Interesting Science Stuff
Investigate interesting (hence the name) and unusual scientific topics. Includes 'Ask Dr. Bob' and 'Did You Know' sections.

Exploring Leonardo
Learn about Leonardo da Vinci, his futuristic inventions, and unique way of looking at the world at this attractive site.

Extreme Science
Where is the deepest spot in the ocean? Which creature is the strongest? Want to know what the fastest land animal is? Take a look at this site for answers to these and other scientific record-breakers!

FT Exploring
A fun-filled science site that explores energy and other basic scientific principles. Topics include sections on "super bugs", photosynthesis, marine science, and more. Know-it-all tortoise, Dr. Galapagos provides humorous and insightful answers to science questions.
At Funology, science is all about having fun! But that's not all. Besides fun facts and experiments you can perform, you'll also find crafts, recipes, magic tricks, jokes, and a whole lot more.

Greatest Engineering Achievements of the 20th Century
In 1900, life was a constant struggle. 100 years later, the world was a healthier, safer, and more productive place, due to the hard work of engineers and scientists. From electrification, to the automobile, to computers, learn how engineering has changed and improved our lives.

How Stuff Works
Curious about what makes things tick? How Stuff Works brings you hundreds of articles that cover a wide range of subjects like 3-D graphics, animals, video games, engines, roller coasters, toys, electricity, computers, and much more. (For a "huge list" of every article on the site, click here.)

Human Anatomy Online
Take a tour of the human body. This site offers a fun, interactive way to learn about skeletal, digestive, muscular, and other body systems.

Infrared Zoo
The Infrared Zoo shows what animals look like in a whole different light. See what birds, reptiles, and mammals look like in the infrared, and learn how animals use fur, blubber, and feathers to insulate themselves.

Planetpals Earthzone
Join Earthman, Sunnyray, Fluffy, and the rest of the Planetpals gang to learn all about our planet, weather, and ways you can recycle and conserve the earth's resources. You'll also find sections with crafts you can make, games, coloring pages, and lots of other fun stuff. Like the Planetpals say, "a friend for earth is a friend for life!"

Popular Science
You'll always find plenty of cool and interesting things to read at Popular Science Magazine's web site. Articles on science, space, the Internet, computers, and more are all here to help keep you informed of the latest advances in technology.

Have fun with puzzles and activities, look at illusions, visit a dinosaur exhibit and StarLab. Sections for Grown-ups and Teachers too. Some sections require Shockwave and other plug-ins.

The Revolutionaries
Silicon Valley, (home of!), is a well-known oasis of technical innovation. This site interviews such famous 'overachievers' such as Steve Wozniak (Apple), Nolan Bushnell (Atari), and 16 others, to find out how they turned their budding ideas into reality, changing the world for the rest of us in the process.

Robot Constructor
Construct a virtual robot and use it to collect golden cubes scattered around a variety of hostile zones. Each zone requires a robot with different skills, so choose its power supply, sensors, material and mobile abilities carefully.

(These data records were left in the page by mistake)
~~~
(1)
157
Properties=species:S:1:pos:R:3 method="wB97M-V/def2-TZVPD" charge=0 homo_ev=-7.985 gap_ev=6.67
C -0.653 4.964 0.310
H 5.901 4.451 -2.265
H 4.900 1.906 -3.295
O -10.359 -0.189 -3.517
C 5.389 -3.903 -1.129
O 6.444 0.498 -4.328
C 6.472 4.936 5.123
O -0.876 -3.714 1.126
C 7.798 5.664 5.044
C -4.160 7.009 4.905
H 6.563 4.017 5.710
H 1.492 -4.374 -3.756
H 6.481 -8.253 -3.322
H 4.054 -4.138 5.659
C -2.472 1.293 -3.450
H 8.365 -8.072 -1.660
C 3.546 3.786 1.979
H -4.415 -0.797 -0.466
H 5.059 -3.333 -2.002
C 3.298 -3.514 6.148
C -4.526 -0.678 -3.626
H 6.288 -4.039 1.259
H -2.489 5.040 -0.827
H -9.193 3.458 3.073
O -7.454 -2.547 1.076
O -0.724 3.563 0.530
C 1.972 -4.241 6.227
H 1.255 -2.381 3.349
H 5.714 5.571 5.591
C -4.094 0.911 -3.566
H -0.879 -2.282 -3.419
H -8.222 -0.764 1.741
H -7.412 3.030 0.610
H -2.701 5.313 0.898
C 4.882 -3.272 0.151
H -4.675 -2.503 -0.052
H 6.056 -0.987 -6.514
H -11.280 1.174 -1.412
C 4.672 2.812 -1.586
H 8.182 0.884 -5.334
C -8.181 3.573 1.167
C -9.779 0.979 -2.954
H 3.914 3.447 -1.117
S -4.002 3.494 -3.459
C 7.867 -7.182 -2.057
H 3.221 4.655 1.398
H 8.155 5.934 6.041
H 7.570 -0.518 -7.322
C 1.414 -0.499 -3.320
C 0.898 -2.651 2.352
H -7.836 -1.957 2.997
N -5.086 2.085 -3.581
H 0.010 5.153 -0.540
H 6.754 2.916 -2.153
H 4.763 1.893 -0.999
H -9.711 -3.413 2.198
H 0.476 -5.237 -1.155
H 5.025 -4.932 -1.221
H -2.003 6.598 -0.117
O 6.870 -6.767 -1.136
H 3.201 -2.603 5.548
H -4.829 -1.053 1.995
H -2.687 5.586 3.377
H 7.701 6.575 4.444
H 8.554 5.040 4.555
O 1.524 -4.577 4.922
H 5.251 -2.247 0.256
H -0.337 -4.298 3.018
H 6.355 3.809 -0.667
H 6.482 -3.950 -1.131
H 2.071 -5.673 -0.496
H 4.634 3.702 1.896
H 6.733 -6.576 -3.791
C 7.239 -7.468 -3.406
F 0.710 -0.515 -5.856
H 6.221 -7.489 -1.061
H -9.749 2.005 -1.052
H 7.996 -7.784 -4.129
H -0.217 5.428 1.199
H 1.654 -3.275 1.863
H -5.129 7.262 5.345
H 2.063 -5.161 6.814
H -11.325 -0.101 -3.446
H 1.214 -1.350 -2.541
H 6.700 4.030 3.413
H -3.431 -2.147 2.108
H -4.715 7.518 2.884
H -7.834 -2.418 0.190
H 2.966 -5.882 -2.835
H 0.512 1.604 -3.937
H -8.741 1.895 2.404
C -3.328 -1.802 -3.582
O 4.224 2.476 -2.891
C -4.306 6.667 3.437
O 6.024 4.601 3.817
H 5.796 -0.223 -4.254
F 3.049 -0.694 -5.243
C -0.428 -3.379 2.431
C -10.191 1.112 -1.502
H -0.200 -4.284 0.721
H 0.333 1.102 -2.110
H -8.692 0.895 -3.038
O 5.315 -4.029 1.271
H 2.436 0.015 -2.985
H -1.106 3.160 -0.269
H 0.801 -1.740 1.752
H 1.214 -3.607 6.695
H -10.056 4.034 0.909
C 1.891 -5.918 -2.636
C -2.039 5.518 0.050
C -9.683 -2.346 1.954
H 2.001 2.706 1.487
H -10.104 -2.238 0.949
C -8.408 2.931 2.521
H -3.731 6.167 5.459
I -6.650 -1.227 -3.720
H -9.874 0.233 -0.931
H -4.975 5.811 3.298
C 1.648 -1.076 -4.854
O -3.037 6.348 2.885
C -3.860 -1.305 1.555
H -1.186 -2.744 2.899
C 1.554 -5.208 -1.341
H 3.577 4.812 3.881
H 1.840 -4.153 -1.392
H -3.637 -2.937 -3.594
H -7.860 4.613 1.275
C -8.260 -1.828 1.997
C 5.998 3.539 -1.665
H -2.387 -2.729 0.027
H 3.788 -3.246 0.158
C 7.442 0.084 -5.250
H -3.480 7.857 5.037
N -2.364 2.804 -3.368
~~~
(Back to the page)

The Rudiments of Wisdom Encyclopedia
Includes thousands of cartoons covering almost anything you'd like to know! Originally drawn over a period of 14 years for the Observer newspaper, you'll find information on animals, art, entertainment, music, science, sports and 16 other subjects.

The Science Explorer
Using common household items, make a salt volcano, a roto-coptor, or one of over 25 other projects at this nice site.

Time for Kids
Do you have a nose for news? Time Magazine's site for kids has science, entertainment, and world news, along with research and homework help, places to explore, online games, and more!

Science Made Simple
Simple answers to common science questions, plus fun science projects, experiments, and science news.

The Science of Hockey
Join the Exploratorium and San Jose Sharks as they explain the science behind the equipment used in the game, how to slap a puck 100 miles per hour, how players stay in shape, and more.
Learn about our solar system, take a star tour, see how gravity and inertia work, play a fun lunar lander game, and more at this site by the makers of

Sea and Sky
Take your pick and explore the beauty of the sea, or the wonders of the universe. Sea and Sky is an incredible resource, providing extensive information on the mysteries of each in amazing detail.